Chapter 3:

00010: Confrontation

Theoretical powder diffraction line list
Compound: Li2VCrP2O8F2
Radiation: CuKα
Structure: DFT lattice parameters and positions (GGA+U)

Most intense lines, 2θ = 10–90°, in order of rising 2θ:
Position (°2θ)  I/Imax
17.8  32
18.4  38
18.5  59
22.3  27
25.8  28
26.5  28
26.6  73
26.8  92
29.0  100
36.3  33

Structural model:
```
32
Lattice="5.2218 0.0000 0.0000 -2.3463 6.9725 0.0000 -1.4062 -3.1731 9.9442" Properties=species:S:1:pos:R:3 pbc="T T T"
Li -0.5162 -0.1536 3.0557
Li 1.2514 2.0390 1.9099
Li 0.2179 1.7603 8.0343
Li 1.9856 3.9530 6.8885
V -1.1731 3.4862 0.0000
V 0.7347 1.8997 4.9721
Cr 0.0000 0.0000 0.0000
Cr 1.9078 -1.5866 4.9721
P -1.9820 0.9159 6.7551
P 1.3067 -2.2009 8.1589
P 0.1626 6.0002 1.7853
P 3.4513 2.8835 3.1891
O -1.5852 0.7496 8.2485
O -1.6552 4.2235 3.9102
O -0.4468 2.0423 3.3090
O -2.2108 3.9145 8.7104
O -0.8040 1.7738 6.2035
O 1.1683 -0.1546 1.6591
O 0.0507 4.6496 1.0626
O 0.9241 -2.0410 6.6623
O 0.5452 5.8404 3.2819
O 1.4186 -0.8503 8.8816
O 0.3010 3.9539 8.2851
O 2.2734 2.0255 3.7407
O 3.6802 -0.1151 1.2338
O 1.9161 1.7571 6.6352
O 3.1245 -0.4242 6.0341
O 3.0546 3.0497 1.6957
F 0.1187 1.9390 0.3569
F 0.6381 -0.1032 4.6173
F 0.8312 3.9025 5.3269
F 1.3507 1.8603 9.5873
```


Theoretical powder diffraction line list
Compound: Li9Mn2Co5O16
Radiation: CuKα
Structure: DFT lattice parameters and positions (GGA+U)

Most intense lines, 2θ = 10–90°, in order of rising 2θ:
Position (°2θ)  I/Imax
12.0  8
18.3  100
35.3  15
36.4  26
42.6  29
44.2  53
47.6  9
58.1  9
62.8  15
63.2  15

Structural model:
```
32
Lattice="5.1378 -5.7544 0.0000 5.1378 5.7544 0.0000 -1.8473 0.0000 4.8349" Properties=species:S:1:pos:R:3 pbc="T T T"
Li 0.0000 0.0000 0.0000
Li 0.6598 1.4282 4.7940
Li 5.1378 2.8389 0.0000
Li 0.7303 -1.4862 4.8282
Li 5.1378 -0.0610 0.0000
Li 7.7684 1.4282 0.0409
Li 5.1378 -2.9164 0.0000
Li 4.2141 -4.3361 2.4174
Li 7.6979 -1.4862 0.0067
Mn 1.6127 -0.0543 2.4471
Mn 6.8155 -0.0543 2.3878
Co 4.2141 4.2685 2.4174
Co 4.2141 1.4221 2.4174
Co 1.7297 -2.9327 2.4077
Co 4.2141 -1.4857 2.4174
Co 6.6984 -2.9327 2.4272
O 0.9510 1.3705 1.2926
O 3.4207 2.8503 1.3330
O -0.0218 -0.1139 3.4575
O 2.4213 1.3369 3.5593
O 0.8971 -1.4406 1.3014
O 5.0075 2.8503 3.5018
O 3.3088 -0.0499 1.4163
O 2.4095 -1.4217 3.5695
O 6.0069 1.3369 1.2756
O 3.3755 -2.8082 1.3331
O 5.1194 -0.0499 3.4185
O 7.4772 1.3705 3.5423
O 6.0186 -1.4217 1.2654
O 5.0526 -2.8082 3.5017
O 8.4500 -0.1139 1.3774
O 7.5311 -1.4406 3.5335
```


Theoretical powder diffraction line list
Compound: Na5Co2PC4O16
Radiation: CuKα
Structure: DFT lattice parameters and positions (GGA+U)

Most intense lines, 2θ = 10–90°, in order of rising 2θ:
Position (°2θ)  I/Imax
10.9  100
17.8  31
20.8  75
21.0  31
21.1  82
32.8  49
33.2  74
33.3  50
36.0  76
56.8  28

Structural model:
```
56
Lattice="7.0001 -7.1093 0.0000 7.0001 7.1093 0.0000 -6.9365 0.0000 7.0065" Properties=species:S:1:pos:R:3 pbc="T T T"
Na 1.7977 5.8716 5.2549
Na 1.8319 1.8091 1.2336
Na -2.2149 1.8077 5.3253
Na -1.6363 -1.8091 4.7368

Root Access

“Surprise! You don’t lose the ability to operate a fucking keyboard when you grow a pair of tits. And now let go of me!” she yelled. Her face had gone bright red. She looked really pissed and struggled against my grip with all her strength. Her short black hair laid scattered all across her face.

“You seem to have forgotten the reason why I captured you in the first place.”

“Uhh … this is sexual harassment!”

I halted for a moment. Was it really? Well, it was obvious that she was not comfortable with me pushing her to the ground. But I also could not let go of her or she would run off. “Then stop … struggling and don’t give me a reason to restrain you to the ground.”

“Sorry, but I won’t escape if I’d stop struggling.” She tried shifting her legs.

I pinned them down under my knees as well.

“This is not fair!”

“You should have thought about that before you tried breaking into Ando-sensei’s laptop.”

She gritted her teeth, screaming. “You know nothing! And how should I have suspected that some psycho would jump me the millisecond I started accessing anything? How did you even find me so quickly?”

I smiled. “You shouldn’t attack someone that knows how to track down devices inside his network.”

She exhaled. “Fuck!”

Finally, she gave up on pushing against my grip and closed her eyes. Even the most contentious ones must somehow admit when a fight was lost. She opened them again and just death-glared into mine. The black fringes of her bangs covered them partly. There were no words, just our heavy breathing from the running and fighting. We were close enough so that I could feel the humid air from her lungs on my lips. She tasted … kind of sweet?

I shuddered the moment my focus shifted from the narrow tunnel vision of the chase to the whole picture. It sunk in as fast as a lightning strike and was only then that I actually recognized how beautiful she was. She looked about my age, probably a bit older. The big hoodie did cover up most of her curves, but I could certainly feel very shapes around her hips and chest. The pitch black hair was cut angled at the height of her shoulders and shined at the artificial light she sat under. Oh … this was really bad! I should immediately start putting some distance between us and give her the free space. It was wrong to have those kinds of thoughts in a proximity like this and above all towards a complete stranger. She was not even struggling anymore, so there was no inherent danger of her escaping.

She must have noticed my face slowly turning red and started blushing herself, looking a little embarrassed to the side.

“You calmed down now?” I asked.

She nodded; her face flushed even more.

“Then I’ll get off you, okay? But don’t think about running again or you’ll meet with the ground a second time.”

“I can go well without that,” she grumbled.

“Great, then we agree.” I heaved my body upwards while maintaining steady view contact. I did not want to risk, her using the favor of the hour and punching me where it hurts the most. She as well kept on staring into my eyes as if she was a wild animal that just prepared a lethal attack.

But nothing like that happened. We both came to sit on the floor next to each other, our eyes still locked to one another. The air was tensed up as the both of us moved. “And now?”, she asked and shoved the black hair out of her face.

“Why did you try to break into Ando-sensei’s Laptop?” I asked.

“I don’t think that any of this is of your business. What are you even? His henchman?”

“He is my teacher! And a very good one to be frank,” I exclaimed.

She narrowed her eyes a bit. “If you are a regular student, then why aren’t you at your club activities right now?”

I shook my head. “I am not in any club. We just talked a bit after class, and I was with him, when he traced your requests back to the school cafeteria. And when we located you, I … somehow found myself running.”

“You seem to be more of the short-tempered kind of guy.” She gave me a mocking smile. “But this could have ended quite bad for you if it wasn’t for a single girl but rather a whole squad of buff guys twice your size.”

“My mind hasn’t thought that far,” I admitted with a slight laugh.

She could not hide a smile herself, that made her look even prettier. “Did he also teach you about programming? Or even hacking?”

“Yeah, he did. He nudged me into the right direction, reviewed my programming and showed me where I would find the right sources. He taught me a lot. I just cracked his …” I stopped in place, when I noticed how the tone of the whole situation had drifted away. She was a criminal, someone who tried breaking into someone else’s computer and I was just casually chatting with her as if none of that had happened.

She tilted her head, blinked and looked at me with interest glowing in her eyes. “What did you crack? One of his programs?” she asked. So, she knew about Ando-sensei’s security software. “Let’s see, there are quite a few that have been exploited in the last years: Zuijin? Yamabiko? Uwan?”

“That’s the first time I’ve heard of those. The program I cracked is called Yamata no Orochi.”

Her eyes widened, she let out a gasp. “What? You actually cracked Yamata no Orochi? Really? How did you …?”

I was not really sure if this was a big deal. But at least she seemed to know his programs … well, she tried hacking his computer. Of course, she did. “As if I would tell you,” I blurted out.

She sat up straight, now eyeing me with large puppy eyes. “Pretty please! I just know that the NSA was able to exploit it two years ago and some insiders say the british GCHQ did it as well, but that could never be proved, to be honest. Oh, and then there was this one guy from … I don’t remember the country exactly, but somewhere in South America. He however didn’t deliver any evidence. Do you want to be like him?”

NSA? GCHQ? Those were intelligence agencies. What did they have to do with Ando-sensei’s software? I gulped. Whatever it was, I had to play along for now and not show her how little I actually knew. I crossed my arms. “I am not telling some criminal.”

Her until now so happy face froze for a moment in time. Something deep seemed to have broken behind her façade as a sudden realization flashed into her expression. Her smile slowly faded, making space for something darker. Suddenly there was a grim shadow hanging over her. She did not talk back, which made her silence seem like a guilty plea. Her eyes just slowly faded to the ground. She clenched her hands.

“What … kind of reaction is this?” I asked.

“I’m … sorry,” she mumbled, evading my view. “You’re completely right. I forfeited my right for that knowledge. If I know, the wrong people get to know as well, and they do terrible things with it.”

Well, that really came unexpected. I eyed her with an open mouth, unable to form senseful words. “Uh … I … uhm.”

“What are you doing with me now?” she asked in a submissive tone and looked up at me again with a scared smile. Seeing her this way made me almost feel like I was the bad guy here. Why did I suddenly start to feel sorry for her? Was she manipulating me into this? I guess it is the same as with cute animal babies: You can’t shake the feeling of adoring and protecting them. I was a guy after all, and she was a pretty girl. I may be stronger than her, but she had me in her hands emotionally. We were like two people at rope pulling – two opposing forces fighting against each other.

But could I blame her? This situation had turned out critical for her. I didn’t know the exact details, but if I called the police, it could completely ruin her further life. I guess this is what you must deal with if you start into this kind of business. I could easily help her and say that she ran off before I could catch her. In other words: It was nothing but my judgement, that separated her from legal consequences. An uneasy feeling grew inside my stomach from the mere thought of the huge power imbalance between us. I could take a personal advantage out of this and the mere possibility of that clouded my judgement.

As my mind raced to find my answer, she let her gaze slide through the hallways into the direction of her backpack, moving her hands on the ground between her legs as to stand up.

“Didn’t I make myself clear?” I shouted.

She flinched at my sudden outburst. “Jeez, chill! I am just making myself comfortable since you seem to enjoy interrogating your victims on the ground.”

“I am not that stupid. Do you really think I don’t recognize you plotting your escape?”

She growled. “Sorry … but then tell me what you want from me!”

I looked at her for a while. “I … don’t know yet,” I said.

Another unexpected but seemingly honest smile wandered across her lips but this time it stayed, even though it still had a hint of bitterness mixed in. Her eyes scanned me from head to toe. She had really kind eyes in a gentle, deep blue. My own words from before echoed into my mind.

She is a criminal! A criminal. A … is she really?

Do bad people have such kind eyes? Her guilty reaction seemed humble and honest. Maybe she was pulled into something that she could not get out herself. Maybe I could help her.

“May I know your name?” I asked.

She flinched a bit back, giving me a distraught look. “Sure, and I’ll take the warrant for attempted data theft right with me.” But then she exhaled and leaned back towards me again, still looking away from me. “You won’t get my real name – it’s not like I’m keen on getting imprisoned, but … my handle … is ArcticLynx,” she murmured.

“Kanaoka-kun!” Ando-sensei stood in the corridor, rushing towards us. He caught me by surprise and the moment I looked at him, I instantly felt a knee in my stomach. The girl pushed me away with seemingly all the force her body could muster. I fell back under pain as she jumped up, away from me. I reached out for her but only caught the tip from the sleeve of her hoodie, holding it tight. She tried to pull it back, but the sleeve was just ripping at her like a rubber band. I lay on the ground but would not let go of the sleeve. I would NOT let go! She tried to drag me with her like a wet sack but soon realized that she wouldn’t be able to run away like that. I heard a zipper and felt the resistance on the sleeve disappearing.

A plain white T-shirt appeared underneath it. One step and she grabbed her bag pack. I was lying somehow twisted on the floor, her stripped hoodie in my hand, my eyes focused on it while she disappeared in the blurred distance. The pain took me a moment to get back on my feet.

“Kanaoka-kun, are you mad?” Ando-sensei reached me. “You can’t run after people like that. What if she had a weapon?”

“Then watch closely how I can!” I gripped her hoodie tight, clenching my mouth to withstand the pain in my stomach and sprinted after her again. However, this time it was not anger, it was something deeper. I wanted to talk to her about how she did it, about why she did it. Where she learned about hacking, when she started learning about it. There were so many questions in my head. She was further off, and I only saw her turning the corner at the exit.

She ran to the back of the parking lot - a bike was parked on the sidewalk. She quickly, threw her leg over the saddle and set a foot onto the pedal. I stopped in place, far enough away to not reach her until she could drive off, showing my hands to not threaten her. “Hey! Please wait!”

She did not turn to me right away, looked a bit down and only after that to me. Her eyes had this strange glare inside them. Shame … or guilt? “Kanaoka-kun, huh? Sorry! I didn’t mean to kick you so hard, but you kinda scared me a bit.”

“I – didn’t mean to.” My hand dug into the hurting spot at my stomach. “I mean … sorry.”

“Uh … No! I must be sorry!” She evaded my view.

I slowly held out my hand. “Your hoodie.”

“Nice try.”

“No! I mean it.”

She looked me up and down. “You’re letting me escape?”

I took a deep breath. There was this feeling inside me. Maybe her beauty had just blurred my mind, but I somehow felt that she was not inherently bad. I just could not see the whole picture. My cheeks grew warm. “For now. Yes!”

“Well, then …” She nodded, took a deep breath. “Keep it – as a reminder that you should stay as far away from me as possible, or the vortex will suck you in as well.”

Before I could even say another thing, she pushed down the pedal full force and was off. I only saw her driving away in the distance, and it was only then that I realized, whatever we shared for these brief moments of our lives, would soon be nothing more than a memory.

Jio Kurenai
Taylor Victoria